# To do
Your job: type out all of the notes below with every line break kept.

# Entries
-- begin --
For Na2MnTeO6, DFT lattice parameters and positions (PBE+U) gives the theoretical X-ray diffraction stick pattern in this record (Cu Kα).
Intensities are scaled so that the largest is 100.

Lattice parameters (Å, degrees): 5.4913 5.4913 3.9007 90.00 90.00 90.00
Fractional coordinates of all 10 atoms:
Na1 0.0000 0.5000 0.0000
Na2 0.5000 0.0000 0.0000
Mn1 0.0000 0.0000 0.5000
Te1 0.5000 0.5000 0.5000
O1 0.0000 0.0000 0.0000
O2 0.2540 0.2540 0.5000
O3 0.2540 0.7460 0.5000
O4 0.5000 0.5000 0.0000
O5 0.7460 0.2540 0.5000
O6 0.7460 0.7460 0.5000

Most intense lines, 2θ = 10–80°, in order of rising 2θ:
d (Å)	2theta	I_rel
5.491	16.14	22
3.901	22.80	31
3.883	22.90	60
2.750	32.56	100
1.950	46.57	16
1.941	46.79	32
1.737	52.69	22
1.590	58.01	13
1.586	58.15	25
1.376	68.15	18

=====

No. 1
For Pu6IrRu, a PBE-relaxed structure gives the simulated powder XRD pattern in this record (Cu Kα (λ = 1.5418 Å)).
Peak positions follow from Bragg's law for the DFT cell and can differ from measured ones.

Main lines, by angle (2θ = 10–90°):
2theta	intensity
31.47	45.5
32.16	76.7
35.01	97.8
36.55	47.4
37.39	100.0
39.00	39.2
40.24	49.7
45.44	39.7

Lattice parameters (Å, degrees): 4.8083 5.0867 6.8229 80.86 85.11 70.38
Sites, in units of the cell vectors:
Pu1 0.9999 0.1256 0.2449
Pu2 0.0001 0.8744 0.7551
Pu3 0.2559 0.1492 0.9142
Pu4 0.4503 0.5408 0.2539
Pu5 0.5497 0.4592 0.7461
Pu6 0.7441 0.8508 0.0858
Ir1 0.5000 0.0000 0.5000
Ru1 0.0000 0.5000 0.5000



No. 2
For Hf3Sn2, a PBE-relaxed structure gives the simulated powder XRD pattern in this record (Cu Kα (λ = 1.5418 Å)).
Peak positions follow from Bragg's law for the DFT cell and can differ from measured ones.

Main lines, by angle (2θ = 10–90°):
2theta	intensity
24.28	26.3
32.09	48.5
34.42	56.7
34.70	99.5
36.54	100.0
40.67	37.9
52.76	49.2
60.13	24.0

Lattice parameters (Å, degrees): 8.2919 8.2919 8.2919 140.68 140.68 56.82
Sites, in units of the cell vectors:
Hf1 0.0000 0.0000 0.0000
Hf2 0.0000 0.0000 0.5000
Hf3 0.0000 0.5000 0.0000
Hf4 0.3750 0.6250 0.7500
Hf5 0.5000 0.0000 0.5000
Hf6 0.6250 0.3750 0.2500
Sn1 0.1792 0.4292 0.7500
Sn2 0.4292 0.1792 0.2500
Sn3 0.5708 0.8208 0.7500
Sn4 0.8208 0.5708 0.2500

=====

# 1
Diffraction record for CoH2SeO5. The X-ray diffraction stick pattern is simulated, not measured: it uses a GGA+U-relaxed structure and CuKα.

Principal peaks in the range 2θ = 10–90°, by angle:
17.60 deg, d 5.039, intensity 93.3
25.17 deg, d 3.538, intensity 100.0
25.32 deg, d 3.517, intensity 61.1
25.73 deg, d 3.463, intensity 54.5
28.54 deg, d 3.128, intensity 55.6
33.41 deg, d 2.682, intensity 37.7
33.94 deg, d 2.641, intensity 59.7
35.98 deg, d 2.496, intensity 34.7

Structural model:
```
18
Lattice="3.5587 -4.0828 0.0000 3.5587 4.0828 0.0000 -3.3582 0.0000 6.9277" Properties=species:S:1:pos:R:3 pbc="T T T"
Co 1.7793 2.0414 0.0000
Co 0.1002 -2.0414 3.4638
H -1.7824 0.4001 4.8651
H -0.1033 -0.4001 1.4012
H 3.8624 0.4001 5.5264
H 5.5415 -0.4001 2.0626
Se 1.0400 0.6950 5.1957
Se 2.7191 -0.6950 1.7319
O 2.7191 3.0923 1.7319
O 1.5078 0.2598 1.0387
O 0.3573 1.6516 6.3789
O 1.7227 1.6516 4.0126
O -0.1713 -0.2598 4.5025
O 3.9304 0.2598 2.4252
O 2.0364 -1.6516 2.9151
O 3.4018 -1.6516 0.5488
O 2.2513 -0.2598 5.8890
O 1.0400 -3.0923 5.1957
```

---

# 2
Diffraction record for CoH2SeO4. The X-ray diffraction stick pattern is simulated, not measured: it uses a GGA+U-relaxed structure and CuKα.

Principal peaks in the range 2θ = 10–90°, by angle:
12.96 deg, d 6.833, intensity 100.0
18.12 deg, d 4.897, intensity 47.5
22.45 deg, d 3.960, intensity 81.2
29.29 deg, d 3.049, intensity 79.2
31.77 deg, d 2.816, intensity 32.8
32.04 deg, d 2.793, intensity 24.4
33.10 deg, d 2.706, intensity 87.3
38.57 deg, d 2.334, intensity 34.2

Structural model:
```
32
Lattice="5.7325 0.0000 0.0000 0.0000 4.8584 0.0000 -3.1461 0.0000 13.6666" Properties=species:S:1:pos:R:3 pbc="T T T"
Co 0.6384 0.8782 3.1909
Co -0.9347 1.5510 10.0242
Co 3.5210 3.3075 3.6424
Co 1.9480 3.9802 10.4757
H -1.8427 3.3410 8.4266
-- stop --

# Result
For Na2MnTeO6, DFT lattice parameters and positions (PBE+U) gives the theoretical X-ray diffraction stick pattern in this record (Cu Kα).
Intensities are scaled so that the largest is 100.

Lattice parameters (Å, degrees): 5.4913 5.4913 3.9007 90.00 90.00 90.00
Fractional coordinates of all 10 atoms:
Na1 0.0000 0.5000 0.0000
Na2 0.5000 0.0000 0.0000
Mn1 0.0000 0.0000 0.5000
Te1 0.5000 0.5000 0.5000
O1 0.0000 0.0000 0.0000
O2 0.2540 0.2540 0.5000
O3 0.2540 0.7460 0.5000
O4 0.5000 0.5000 0.0000
O5 0.7460 0.2540 0.5000
O6 0.7460 0.7460 0.5000

Most intense lines, 2θ = 10–80°, in order of rising 2θ:
d (Å)	2theta	I_rel
5.491	16.14	22
3.901	22.80	31
3.883	22.90	60
2.750	32.56	100
1.950	46.57	16
1.941	46.79	32
1.737	52.69	22
1.590	58.01	13
1.586	58.15	25
1.376	68.15	18

=====

No. 1
For Pu6IrRu, a PBE-relaxed structure gives the simulated powder XRD pattern in this record (Cu Kα (λ = 1.5418 Å)).
Peak positions follow from Bragg's law for the DFT cell and can differ from measured ones.

Main lines, by angle (2θ = 10–90°):
2theta	intensity
31.47	45.5
32.16	76.7
35.01	97.8
36.55	47.4
37.39	100.0
39.00	39.2
40.24	49.7
45.44	39.7

Lattice parameters (Å, degrees): 4.8083 5.0867 6.8229 80.86 85.11 70.38
Sites, in units of the cell vectors:
Pu1 0.9999 0.1256 0.2449
Pu2 0.0001 0.8744 0.7551
Pu3 0.2559 0.1492 0.9142
Pu4 0.4503 0.5408 0.2539
Pu5 0.5497 0.4592 0.7461
Pu6 0.7441 0.8508 0.0858
Ir1 0.5000 0.0000 0.5000
Ru1 0.0000 0.5000 0.5000



No. 2
For Hf3Sn2, a PBE-relaxed structure gives the simulated powder XRD pattern in this record (Cu Kα (λ = 1.5418 Å)).
Peak positions follow from Bragg's law for the DFT cell and can differ from measured ones.

Main lines, by angle (2θ = 10–90°):
2theta	intensity
24.28	26.3
32.09	48.5
34.42	56.7
34.70	99.5
36.54	100.0
40.67	37.9
52.76	49.2
60.13	24.0

Lattice parameters (Å, degrees): 8.2919 8.2919 8.2919 140.68 140.68 56.82
Sites, in units of the cell vectors:
Hf1 0.0000 0.0000 0.0000
Hf2 0.0000 0.0000 0.5000
Hf3 0.0000 0.5000 0.0000
Hf4 0.3750 0.6250 0.7500
Hf5 0.5000 0.0000 0.5000
Hf6 0.6250 0.3750 0.2500
Sn1 0.1792 0.4292 0.7500
Sn2 0.4292 0.1792 0.2500
Sn3 0.5708 0.8208 0.7500
Sn4 0.8208 0.5708 0.2500

=====

# 1
Diffraction record for CoH2SeO5. The X-ray diffraction stick pattern is simulated, not measured: it uses a GGA+U-relaxed structure and CuKα.

Principal peaks in the range 2θ = 10–90°, by angle:
17.60 deg, d 5.039, intensity 93.3
25.17 deg, d 3.538, intensity 100.0
25.32 deg, d 3.517, intensity 61.1
25.73 deg, d 3.463, intensity 54.5
28.54 deg, d 3.128, intensity 55.6
33.41 deg, d 2.682, intensity 37.7
33.94 deg, d 2.641, intensity 59.7
35.98 deg, d 2.496, intensity 34.7

Structural model:
```
18
Lattice="3.5587 -4.0828 0.0000 3.5587 4.0828 0.0000 -3.3582 0.0000 6.9277" Properties=species:S:1:pos:R:3 pbc="T T T"
Co 1.7793 2.0414 0.0000
Co 0.1002 -2.0414 3.4638
H -1.7824 0.4001 4.8651
H -0.1033 -0.4001 1.4012
H 3.8624 0.4001 5.5264
H 5.5415 -0.4001 2.0626
Se 1.0400 0.6950 5.1957
Se 2.7191 -0.6950 1.7319
O 2.7191 3.0923 1.7319
O 1.5078 0.2598 1.0387
O 0.3573 1.6516 6.3789
O 1.7227 1.6516 4.0126
O -0.1713 -0.2598 4.5025
O 3.9304 0.2598 2.4252
O 2.0364 -1.6516 2.9151
O 3.4018 -1.6516 0.5488
O 2.2513 -0.2598 5.8890
O 1.0400 -3.0923 5.1957
```

---

# 2
Diffraction record for CoH2SeO4. The X-ray diffraction stick pattern is simulated, not measured: it uses a GGA+U-relaxed structure and CuKα.

Principal peaks in the range 2θ = 10–90°, by angle:
12.96 deg, d 6.833, intensity 100.0
18.12 deg, d 4.897, intensity 47.5
22.45 deg, d 3.960, intensity 81.2
29.29 deg, d 3.049, intensity 79.2
31.77 deg, d 2.816, intensity 32.8
32.04 deg, d 2.793, intensity 24.4
33.10 deg, d 2.706, intensity 87.3
38.57 deg, d 2.334, intensity 34.2

Structural model:
```
32
Lattice="5.7325 0.0000 0.0000 0.0000 4.8584 0.0000 -3.1461 0.0000 13.6666" Properties=species:S:1:pos:R:3 pbc="T T T"
Co 0.6384 0.8782 3.1909
Co -0.9347 1.5510 10.0242
Co 3.5210 3.3075 3.6424
Co 1.9480 3.9802 10.4757
H -1.8427 3.3410 8.4266